# Work order
Could you repeat every line further below that contains the word "mmm"?

# Excerpt
--- 1 ---
TiP4O12 | the Alexandria database | meta-GGA SCAN | PBEsol geometry; symmetry = Pbcn
1.0
13.0507 0.0000 0.0000
0.0000 8.0719 0.0000
0.0000 0.0000 9.1303
Ti P O
4 16 48
direct
0.0000 0.1614 0.2500
0.0000 0.8386 0.7500
0.5000 0.3386 0.7500
0.5000 0.6614 0.2500
0.1453 0.0408 0.5189
0.1453 0.9592 0.0189
0.1510 0.3242 0.0046
0.1510 0.6758 0.5046
0.3490 0.1758 0.5046
0.3490 0.8242 0.0046
0.3547 0.4592 0.0189
0.3547 0.5407 0.5189
0.6453 0.4592 0.4811
0.6453 0.5407 0.9811
0.6510 0.1758 0.9954
0.6510 0.8242 0.4954
0.8490 0.3242 0.4954
0.8490 0.6758 0.9954
0.8547 0.0408 0.9811
0.8547 0.9592 0.4811
0.0669 0.0230 0.6390
0.0669 0.9770 0.1390
0.0743 0.3079 0.1315
0.0743 0.6921 0.6315
0.1133 0.1455 0.3896
0.1133 0.8545 0.8896
0.1284 0.4263 0.8770
0.1284 0.5737 0.3770
0.1794 0.1352 0.9598
0.1794 0.8648 0.4598
0.2445 0.1209 0.5888
0.2445 0.8791 0.0888
0.2555 0.3791 0.0888
0.2555 0.6209 0.5888
0.3206 0.3648 0.4598
0.3206 0.6352 0.9598
0.3716 0.0737 0.3770
0.3716 0.9263 0.8770
0.3867 0.3545 0.8896
0.3867 0.6455 0.3896
0.4257 0.1921 0.6315
0.4257 0.8079 0.1315
0.4331 0.4770 0.1390
0.4331 0.5230 0.6390
0.5669 0.4770 0.3610
0.5669 0.5230 0.8610
0.5743 0.1921 0.8685
0.5743 0.8079 0.3685
0.6133 0.3545 0.6104
0.6133 0.6455 0.1104
0.6284 0.0737 0.1230
0.6284 0.9263 0.6230
0.6794 0.3648 0.0402
0.6794 0.6352 0.5402
0.7445 0.3791 0.4112
0.7445 0.6209 0.9112
0.7555 0.1209 0.9112
0.7555 0.8791 0.4112
0.8206 0.1352 0.5402
0.8206 0.8648 0.0402
0.8716 0.4263 0.6230
0.8716 0.5737 0.1230
0.8867 0.1455 0.1104
0.8867 0.8545 0.6104
0.9257 0.3079 0.3685
0.9257 0.6921 0.8685
0.9331 0.0230 0.8610
0.9331 0.9770 0.3610

---

--- 2 ---
TiP4O12 | the Alexandria database | meta-GGA SCAN | PBEsol geometry; symmetry = C2/c
1.0
4.0551 -5.6970 0.0000
4.0551 5.6970 0.0000
-0.8326 0.0000 9.3855
Ti P O
2 8 24
direct
0.1138 0.8862 0.7500
0.8862 0.1138 0.2500
0.2169 0.2719 0.5339
0.2719 0.2169 0.0339
0.2843 0.6356 0.9683
0.3644 0.7157 0.5317
0.6356 0.2843 0.4683
0.7157 0.3644 0.0317
0.7281 0.7831 0.9661
0.7831 0.7281 0.4661
0.0614 0.2617 0.4138
0.1384 0.1422 0.1536
0.1403 0.6638 0.8493
0.1422 0.1384 0.6536
0.2147 0.3916 0.9618
0.2617 0.0614 0.9138
0.2617 0.6986 0.3908
0.3014 0.7383 0.1092
0.3152 0.4962 0.6026
0.3362 0.8597 0.6507
0.3916 0.2147 0.4618
0.4962 0.3152 0.1026
0.5038 0.6848 0.8974
0.6084 0.7853 0.5382
0.6638 0.1403 0.3493
0.6848 0.5038 0.3974
0.6986 0.2617 0.8908
0.7383 0.3014 0.6092
0.7383 0.9386 0.0862
0.7853 0.6084 0.0382
0.8578 0.8616 0.3464
0.8597 0.3362 0.1507
0.8616 0.8578 0.8464
0.9386 0.7383 0.5862

---

Which structure is the most stable? The one labeled 1.

---

--- 1 ---
Y2TlPO | the Alexandria database | meta-GGA SCAN | PBEsol geometry; symmetry = P4/mmm
1.0
5.6282 0.0000 0.0000
0.0000 5.6282 0.0000
0.0000 0.0000 4.6992
Y Tl P O
2 1 1 1
direct
0.0000 0.5000 0.0000
0.5000 0.0000 0.0000
0.0000 0.0000 0.0000
0.0000 0.0000 0.5000
0.5000 0.5000 0.5000

---

--- 2 ---
Y2TlPO | the Alexandria database | meta-GGA SCAN | PBEsol geometry; symmetry = P4/mmm
1.0
5.1913 0.0000 0.0000
0.0000 5.1913 0.0000
0.0000 0.0000 4.8559
Y Tl P O
2 1 1 1
direct
0.0000 0.5000 0.0000
0.5000 0.0000 0.0000
0.0000 0.0000 0.5000
0.0000 0.0000 0.0000
0.5000 0.5000 0.5000

---

Which structure is the most stable? The one labeled 2.

---

--- 1 ---
Tm2P4O13 | the Alexandria database | meta-GGA SCAN | PBEsol geometry; symmetry = P2_1/c
1.0
8.9117 0.0000 0.0000
0.0000 9.2869 0.0000
-4.1523 0.0000 13.0750
Tm P O
8 16 52
direct
0.0262 0.0023 0.2174
0.0262 0.4977 0.7174
0.4404 0.0040 0.2254
0.4404 0.4960 0.7254
0.5596 0.5040 0.2746
0.5596 0.9960 0.7746
0.9738 0.5023 0.2826
0.9738 0.9977 0.7826
0.1697 0.2307 0.4394
0.1697 0.2693 0.9394
0.2195 0.1992 0.6604
0.2195 0.3008 0.1604
0.2851 0.7392 0.3415
0.2851 0.7608 0.8415
0.4883 0.7394 0.0565
0.4883 0.7606 0.5565
0.5117 0.2394 0.4435
0.5117 0.2606 0.9435
0.7149 0.2392 0.1585
0.7149 0.2608 0.6585
0.7805 0.6992 0.8396
0.7805 0.8008 0.3396
0.8303 0.7307 0.0606
0.8303 0.7693 0.5606
0.0734 0.1339 0.9158
0.0734 0.3661 0.4158
0.1170 0.1181 0.7110

# Reply
Y2TlPO | the Alexandria database | meta-GGA SCAN | PBEsol geometry; symmetry = P4/mmm
Y2TlPO | the Alexandria database | meta-GGA SCAN | PBEsol geometry; symmetry = P4/mmm